It remains to count the lines further down that contain the word "InC6N9" and give the number alone.
+++
No. 1
This record from the Materials Project describes a relaxed structure of Lu3InC. The functional is GGA-PBE.

a b c (Å): 4.788 4.788 4.788
angles (deg): 90.00 90.00 90.00
Atoms (fractional coordinates):
1 Lu 0.000 0.000 0.500
2 Lu 0.000 0.500 0.000
3 Lu 0.500 0.000 0.000
4 In 0.500 0.500 0.500
5 C 0.000 0.000 0.000

Properties
The value obtained for the final energy is -28.42 eV per formula unit.

---

No. 2
This record from the Materials Project describes a relaxed structure of Mn3InC. The functional is GGA-PBE.

a b c (Å): 3.949 3.949 3.949
angles (deg): 90.00 90.00 90.00
Atoms (fractional coordinates):
1 Mn 0.000 0.000 0.500
2 Mn 0.000 0.500 0.000
3 Mn 0.500 0.000 0.000
4 In 0.500 0.500 0.500
5 C 0.000 0.000 0.000

Properties
For the energy above the most stable polymorph in this dataset, the calculation gives 0.0000 eV/atom. Its magnetic moment is 6.04 μB/f.u.

---

No. 3
This record from the Materials Project describes a relaxed structure of InC6N9. The functional is GGA-PBE.

a b c (Å): 7.358 7.358 11.328
angles (deg): 90.00 90.00 119.87
Atoms (fractional coordinates):
1 In 0.219 0.781 0.750
2 In 0.781 0.219 0.250
3 C 0.043 0.267 0.750
4 C 0.201 0.489 0.082
5 C 0.201 0.489 0.418
6 C 0.267 0.043 0.250
7 C 0.489 0.201 0.582
8 C 0.489 0.201 0.918
9 C 0.511 0.799 0.082
10 C 0.511 0.799 0.418
11 C 0.733 0.957 0.750
12 C 0.799 0.511 0.582
13 C 0.799 0.511 0.918
14 C 0.957 0.733 0.250
15 N 0.045 0.347 0.120
16 N 0.045 0.347 0.380
17 N 0.065 0.935 0.250
18 N 0.156 0.450 0.750
19 N 0.347 0.045 0.620
20 N 0.347 0.045 0.880
21 N 0.365 0.635 0.032
22 N 0.365 0.635 0.468
23 N 0.450 0.156 0.250
24 N 0.550 0.844 0.750
25 N 0.635 0.365 0.532
26 N 0.635 0.365 0.968
27 N 0.653 0.955 0.120
28 N 0.653 0.955 0.380
29 N 0.844 0.550 0.250
30 N 0.935 0.065 0.750
31 N 0.955 0.653 0.620
32 N 0.955 0.653 0.880

Properties
The value obtained for the final energy is -127.52 eV per formula unit. Its magnetic moment is 0.00 μB/f.u.

---

No. 4
This record from the Materials Project describes a relaxed structure of In11C2N10. The functional is GGA-PBE.

a b c (Å): 15.565 15.565 3.544
angles (deg): 90.00 90.00 90.00
Atoms (fractional coordinates):
1 In 0.000 0.000 0.000
2 In 0.032 0.197 0.500
3 In 0.032 0.633 0.000
4 In 0.133 0.468 0.500
5 In 0.197 0.032 0.500
6 In 0.221 0.221 0.000
7 In 0.279 0.721 0.500
8 In 0.303 0.532 0.000
9 In 0.367 0.968 0.000
10 In 0.468 0.133 0.500
11 In 0.468 0.697 0.000
12 In 0.500 0.500 0.500
13 In 0.532 0.303 0.000
14 In 0.532 0.867 0.500
15 In 0.633 0.032 0.000
16 In 0.697 0.468 0.000
17 In 0.721 0.279 0.500
18 In 0.779 0.779 0.000
19 In 0.803 0.968 0.500
20 In 0.867 0.532 0.500
21 In 0.968 0.367 0.000
22 In 0.968 0.803 0.500
23 C 0.161 0.839 0.000
24 C 0.339 0.339 0.500
25 C 0.661 0.661 0.500
26 C 0.839 0.161 0.000
27 N 0.063 0.063 0.500
28 N 0.104 0.606 0.500
29 N 0.106 0.396 0.000
30 N 0.106 0.894 0.000
31 N 0.218 0.782 0.000
32 N 0.282 0.282 0.500
33 N 0.394 0.394 0.500
34 N 0.394 0.896 0.500
35 N 0.396 0.106 0.000
36 N 0.437 0.563 0.000
37 N 0.563 0.437 0.000
38 N 0.604 0.894 0.000
39 N 0.606 0.104 0.500
40 N 0.606 0.606 0.500
41 N 0.718 0.718 0.500
42 N 0.782 0.218 0.000
43 N 0.894 0.106 0.000
44 N 0.894 0.604 0.000
45 N 0.896 0.394 0.500
46 N 0.937 0.937 0.500

Properties
The value obtained for the final energy is -122.47 eV per formula unit. Its magnetic moment is 1.00 μB/f.u.

---

No. 5
This record from the Materials Project describes a relaxed structure of InCN2. The functional is GGA-PBE.

a b c (Å): 3.778 3.778 9.842
angles (deg): 90.00 90.00 120.00
Atoms (fractional coordinates):
1 In 0.000 0.000 0.000
2 In 0.000 0.000 0.500
3 C 0.333 0.667 0.250
4 C 0.667 0.333 0.750
5 N 0.333 0.667 0.124
6 N 0.333 0.667 0.376
7 N 0.667 0.333 0.624
8 N 0.667 0.333 0.876

Properties
The value obtained for the final energy is -27.89 eV per formula unit. Its magnetic moment is 0.00 μB/f.u.

---

No. 6
This record from the Materials Project describes a relaxed structure of InCN2. The functional is GGA-PBE.
+++
1